Implementing a Backup Catalog…on a Student Budget


Implementing a Backup Catalog…on a Student Budget

Setting Up a CatBackup Machine

Intended Audience: Novice

You have some SQL experience, some Perl, are comfortable with everyday Unix commands, can use a Unix-based text editor.

Intended Installation:

Academic institution.

Hardware and O.S.

Next to the entry, the page also holds records of crystals:
┌──
No. 1
This record from the Materials Project database describes a geometry-optimized Sr2Pr2TlNi2O9 structure. The functional is PBE with a Hubbard U.

The structure in POSCAR format:
```
Sr2Pr2TlNi2O9
1.0
0.000 15.041 2.719
2.693 0.000 2.719
2.693 15.041 0.000
Sr Pr Tl Ni O
2 2 1 2 9
direct
0.084 0.916 0.084
0.916 0.084 0.916
0.196 0.791 0.209
0.791 0.196 0.804
0.537 0.537 0.463
0.348 0.640 0.360
0.640 0.348 0.652
0.143 0.346 0.154
0.274 0.712 0.288
0.346 0.143 0.358
0.422 0.562 0.438
0.562 0.422 0.578
0.642 0.846 0.654
0.712 0.274 0.726
0.846 0.642 0.857
0.967 0.967 0.033
```

Volume (Å³/f.u.): 220.3
Size of the total moment (μB/cell): 3.00
Energy relative to the elements (eV/atom): -2.452

No. 2
This record from the Materials Project database describes a geometry-optimized MgMn6O4F8 structure. The functional is PBE with a Hubbard U.

The structure in POSCAR format:
```
MgMn6O4F8
1.0
5.187 0.000 0.000
0.289 5.846 0.000
0.066 0.559 8.084
Mg Mn O F
1 6 4 8
direct
0.000 0.000 0.000
0.002 0.379 0.212
0.003 0.992 0.511
0.181 0.601 0.813
0.465 0.143 0.849
0.506 0.832 0.183
0.522 0.485 0.507
0.171 0.302 0.953
0.196 0.709 0.577
0.338 0.858 0.940
0.833 0.280 0.432
0.154 0.010 0.247
0.300 0.173 0.601
0.363 0.513 0.262
0.599 0.445 0.769
0.691 0.146 0.089
0.711 0.805 0.413
0.815 0.991 0.779
0.867 0.691 0.079
```

Volume (Å³/f.u.): 245.1
Size of the total moment (μB/cell): 28.00
Energy relative to the elements (eV/atom): -2.591

No. 3
This record from the Materials Project database describes a geometry-optimized Li2FeP2O8 structure. The functional is PBE with a Hubbard U.

The structure in POSCAR format:
```
Li2FeP2O8
1.0
4.968 0.000 0.000
0.000 8.646 0.000
-0.586 0.000 6.752
Li Fe P O
4 2 4 16
direct
0.241 0.000 0.076
0.258 0.354 0.738
0.742 0.854 0.262
0.759 0.500 0.924
0.255 0.354 0.260
0.745 0.854 0.740
0.216 0.033 0.527
0.276 0.677 0.976
0.724 0.177 0.024
0.784 0.533 0.473
0.031 0.211 0.066
0.072 0.984 0.710
0.080 0.965 0.332
0.200 0.213 0.503
0.319 0.501 0.021
0.389 0.783 0.146
0.439 0.711 0.796
0.486 0.481 0.450
0.514 0.981 0.550
0.561 0.211 0.204
0.611 0.283 0.854
0.681 0.001 0.979
0.800 0.713 0.497
0.920 0.465 0.668
0.928 0.484 0.290
0.969 0.711 0.934
```

Volume (Å³/f.u.): 145.0
Size of the total moment (μB/cell): 8.00
Energy relative to the elements (eV/atom): -2.380

No. 4
This record from the Materials Project database describes a geometry-optimized Li3MnCo2O6 structure. The functional is PBE with a Hubbard U.

The structure in POSCAR format:
```
Li3MnCo2O6
1.0
3.039 0.000 0.000
0.410 6.000 0.000
0.375 2.843 12.128
Li Mn Co O
6 2 4 12
direct
0.000 0.000 0.000
0.003 0.334 0.330
0.496 0.164 0.168
0.500 0.500 0.500
0.504 0.836 0.832
0.997 0.666 0.670
0.000 0.500 0.000
0.500 0.000 0.500
0.012 0.167 0.666
0.494 0.668 0.169
0.506 0.332 0.831
0.988 0.833 0.334
0.017 0.433 0.161
0.018 0.100 0.823
0.034 0.239 0.508
0.458 0.258 0.992
0.463 0.602 0.327
0.480 0.932 0.661
0.520 0.068 0.339
0.537 0.398 0.673
0.542 0.742 0.008
0.966 0.761 0.492
└──

Obtain a suitable PC. It doesn’t have to be very big or very fast (if you have a larger collection, build times will benefit from a faster machine). Our first machine ran at 450Mhz. The rack machine we presently use is a

900Mhz Pentium III. It has three drives in a RAID configuration, resulting in about a 33gig “drive”, similar in size to the first machine. We’ve used RedHat 7.2 and 7.3 in the past, and are now using 8.0 on our production machine.

RedHat still has RedHat Linux (currently version 9) as we know it available through April 2004. Go to

to download (free). After that, I imagine that it will be available from the many mirror sites for some time to come. If you want to buy it, you’ll probably want to buy it now. Fedora is what’s replacing it; RedHat says it’s for “developers and early high-tech enthusiasts using

Linux in non-critical computing environments”. I think that’s their way of saying that they’re not going to officially support it. Go to for details on Fedora. To download Fedora, go to

. If you’re feeling adventurous, you could try one of the many other Linux distributions.

The instructions here address RedHat Linux 8, but should probably be the same, if not similar, for the other versions or distributions.

If you want to download, you’ll need to have a fast connection. You could do it over a phone modem , but it would take a very long time (days) if it worked at all. You’ll be downloading around two gigs of data in three pieces. Select “burn disk image” when you put the .iso files on your blank CDs.

If you’re new to the system administrations aspect, I recommend you look at the RedHat installation guide and if you feel uncomfortable about doing some of that, having a knowledgeable person assist you might be a good idea. Security consideration: you may want to consult with someone knowledgeable on this to make sure that you will have an at least reasonably secure configuration.

Install Linux on your machine (start with disk 1). The install process (wizard) walks you through the steps.

You’ll want to setup adequately large partitions except for /usr/local, which should be “fill to disk”, or “free space”. We have the following partitions on our catbackup machine:


















1024 free or remaining space

The amounts in the right column are approximate allocations. You can choose Disk Druid or fdisk to do this.


Your installation probably includes Perl and Apache; you may want to install newer (more secure?) versions. I had Perl 5.6.1, and Apache 1.3.23 (test bed machine not accessible outside the university, so that’s ok; production machine has newer versions installed).

You’ll need to make some changes to the httpd.conf

file for Apache; do this as root. This file is often found in


. If it’s not there:

find / –name httpd.conf –print

This should show you where to find it.

Changes needed for httpd.conf:

(ServerAdmin section)


(ServerName section)

ServerName your.IP.address

(various places)

Options FollowSymLinks ExecCGI

(occurs more than once, leave defaults as is. you may need to add ExecCGI)

(search for this line)

(ScriptAlias section)

ScriptAlias /cgi-bin/ "/var/www/cgi-bin/"

(Aliases section, add the following)

Alias /images/ “/var/www/images/”

(DocumentRoot section)

DocumentRoot /var/www/html


Your IP address refers to your catbackup machine. Some of these settings may already be as desired. If you will have multiple databases on your catbackup machine, you’ll have to create virtual URLs for each database/catalog. You should find templates for this in the file. I used name-based virtual hosting. (Some of the above lines will be in each virtual host definition section, and will be different for each virtual host. You still should do the above.)

For the remainder of the software, you’ll want the newest stable versions. In each case, I got the xxx.tar.gz files.


Download Postgres from the Postgres site,


Install it:

(These instructions are for version 7.3.4 and the commands may be the same for your version)

gunzip file.tar.gz

tar –xvf file.tar

cd to the postgresql-v.v.v directory , (source distribution), which will be a subdirectory “down” one level from the one in which you unzipped and untar’d the original file (the v’s represent the version number).

Enter the following commands:



su (to root, if you’re not already)

gmake install

useradd SOBackup

mkdir /usr/local/pgsql/data

chown SOBackup /usr/local/pgsql/data

su – SOBackup

/usr/local/pgsql/bin/initdb –D /usr/local/pgsql/data

/usr/local/pgsql/bin/postmaster –D /usr/local/pgsql/data >logfile 2>&1 &

/usr/local/pgsql/bin/createdb test

/usr/local/pgsql/bin/psql test


These last two commands create a test database and log you into it; \q logs you out of the database. While you’re logged in, issue the

\l (slash ell) command to get a listing of databases. You should see a database called

SOBackup. If you don’t, log out and use the createdb command above to create it.

Test things out to make sure all is ok.

Making sure Postgres starts on system bootup:

Login as root

cd /etc/rc.d/init.d

cp xxx/contrib/start-scripts/linux postgresql where xxx is the complete path spec for your source distribution directory referenced above.


You’ll have to edit this postgresql file… PGUSER should be SOBackup

chmod 755 postgresql

Materials data, as found in the file:
........
# 1
{"formula": "LiCo2P2O8", "functional": "GGA+U", "state": "relaxed", "de_polymorph_ev_per_atom": 0.0000, "space_group": "Pc (7)", "e_tot_ev_per_cell": -348.03, "ef_ev_per_atom": -2.25, "lattice": [[8.480, 0.000, 0.000], [0.000, 5.155, 0.000], [-3.276, 0.000, 16.411]], "species": ["Li", "Li", "Li", "Li", "Co", "Co", "Co", "Co", "Co", "Co", "Co", "Co", "P", "P", "P", "P", "P", "P", "P", "P", "O", "O", "O", "O", "O", "O", "O", "O", "O", "O", "O", "O", "O", "O", "O", "O", "O", "O", "O", "O", "O", "O", "O", "O", "O", "O", "O", "O", "O", "O", "O", "O"], "fractional_positions": [[0.000, 0.169, 0.000], [0.000, 0.831, 0.500], [0.395, 0.327, 0.741], [0.395, 0.673, 0.241], [0.269, 0.309, 0.376], [0.269, 0.691, 0.876], [0.371, 0.174, 0.117], [0.371, 0.826, 0.617], [0.757, 0.326, 0.864], [0.757, 0.674, 0.364], [0.862, 0.187, 0.627], [0.862, 0.813, 0.127], [0.079, 0.191, 0.811], [0.079, 0.809, 0.311], [0.180, 0.318, 0.560], [0.180, 0.682, 0.060], [0.569, 0.186, 0.304], [0.569, 0.814, 0.804], [0.689, 0.308, 0.056], [0.689, 0.692, 0.556], [0.010, 0.190, 0.553], [0.010, 0.810, 0.053], [0.124, 0.099, 0.305], [0.124, 0.901, 0.805], [0.171, 0.386, 0.072], [0.171, 0.614, 0.572], [0.234, 0.247, 0.479], [0.234, 0.753, 0.979], [0.237, 0.357, 0.822], [0.237, 0.643, 0.322], [0.300, 0.191, 0.631], [0.300, 0.809, 0.131], [0.457, 0.301, 0.228], [0.457, 0.699, 0.728], [0.482, 0.247, 0.377], [0.482, 0.753, 0.877], [0.514, 0.222, 0.041], [0.514, 0.778, 0.541], [0.587, 0.112, 0.795], [0.587, 0.888, 0.295], [0.697, 0.399, 0.582], [0.697, 0.601, 0.082], [0.733, 0.319, 0.323], [0.733, 0.681, 0.823], [0.767, 0.277, 0.981], [0.767, 0.723, 0.481], [0.798, 0.158, 0.127], [0.798, 0.842, 0.627], [0.963, 0.270, 0.732], [0.963, 0.730, 0.232], [0.994, 0.239, 0.883], [0.994, 0.761, 0.383]]}

# 2
........

To verify that Postgres starts up, reboot and then: ps –ef | grep postgres

As root, give the SOBackup account a password: passwd SOBackup

Supporting Software:

Get the tar’d and gzip’d modules, following this procedure: go to the URL for each piece of software click on the distribution for the module you’re getting click the download button on the following page.

Get DBD (for Postgres) and DBI from the CPAN site. for the DBI module, and (1.34 9/03) for the DBD-pg module (1.22 9/03)

Get the Unicode modules from CPAN also. for Unicode-Map--- (0.112 9/03) for Unicode-Map8--- and Unicode-String--- (2.07 9/03) for Jcode (0.83 9/03) for Unicode-MapUTF8--- (1.09 9/03)

The numbers in parentheses at the ends of the lines indicate the most current version available as of that date.

DBI and DBD enable the catbackup software to talk to the Postgres database(s). The other modules are used for the Unicode character translation (you may not need them, depending on your Voyager version and Perl version).

These modules must be installed in the specified order:








The procedure is the same for each and you should be root. gunzip and untar the module, then cd to its directory just created.

Look at the README file; make sure your version of Perl is new enough.

Issue the following commands, and scan the output from each to make sure that things are ok:

perl Makefile.PL


make test

make install


Creating the Home Environment

Log in as user SOBackup, and in that home directory, create the following directories:

pwd (should show /home/SOBackup, if not cd to it)

mkdir Build

mkdir control

cd Build

mkdir logs

Protect the SOBackup directories to facilitate web access:

cd ..

chmod 755 control

cd /home

chmod 755 SOBackup

Log in as root and make the following directories you’re creating belong to user SOBackup:

cd to /usr/local

mkdir SOB

chown SOBackup SOB

chgrp SOBackup SOB

cd SOB

mkdir indata

chown SOBackup indata

chgrp SOBackup indata

mkdir temp

chown SOBackup temp

chgrp SOBackup temp

mkdir words

chown SOBackup words

chgrp SOBackup words

Log in as SOBackup:

cd /home/SOBackup (if you’re not already there)

ln –s /usr/local/SOB/indata indata

ln –s /usr/local/SOB/temp temp

ln –s /usr/local/SOB/words words

These last three lines create soft links to these new directories. Above, you created directories in /usr/local .

Creating these links to the actual directories makes it look as if these directories are in /home/SOBackup . These directories will contain a number of huge files that would not fit in the /home partition. Recall that when

/usr/local was created, it got all the remaining space on the hard drive. This is where all the incomng and inprocess data is located. Recall from the Postgres setup that its data also resides in the /usr/local partition.

(If you will be using multiple databases, you’ll want to keep things separate. I created subdirectories under words and indata ; temp is ok as is.)

In order to facilitate SOBackup’s use of Postgres, you’ll need to add its binaries’ location to your path.

Edit .

bash_profile (unless you set up a different shell) in /home/SOBackup .


You’ll find a line in there that looks something like the following, but may contain more data:


Using this example, you should end up with the following:


Note that the colon “:” separates the individual entries in the line.

Getting Catbackup Specific Files

There is a number of files that are unique to the catbackup implementation. These are available from Go to the section for EUGM 2004. Click on catbackup.tar.gz

to download it. gunzip and untar it (see earlier instructions). This process will create, off of your current directory, a directory called generic . You should print out the readme.txt

file there and follow its instructions on customization. Further subdirectories contain the catbackup files, organized by category.

Files for the Build Process

Login as SOBackup

cd /home/SOBackup/Build

Put the build files in here:





Xindexes.sql where X represents the database. This is useful when more than one database is being used on your catalog backup machine. If you have only one database, you can leave the X part off. The rest of the installation refers to a single database installation. The order of the files shown above is also the order of execution.

Marc2unicode is presently required with Perl 5.8.0. Once you upgrade to a Voyager version that works with

Unicode, this step probably will not be needed, and your build process would take appreciably less time. buildX.script is the “cron” script to call buildx. buildX merely provides a convenient way to call, supplying it with X.



l handles the marching of the database versions through several generations, and creates the current version of the database. dobuild is the backbone of the build process, and logs all activity.

The incoming data file is gunzip’d.

does the MARC to Unicode translation on the data file.

processes the course reserve and opac suppression information in there. Some housekeeping/clean up is done.

takes this preprocessed data and prepares it for use on the catbackup machine.


creates callnumber and bib tables and indexes. This runs when

is done, but some overlap in processing is possible. You may need to adjust the value of the “wait” variable in the dobuild script to avoid this. creates a dictionary of searchable words.


builds the other tables and indexes that make up a backup catalog database.

Then “pointers” to the generations of the database are updated.

Lastly, the oldest version of the database is deleted. contains data used for the course reserve handling.

There are two fields, the first is a department abbreviation (6 characters), and the second is the full department name (remaining characters). This file is used in

. You will have to populate this file with data for your institution.

Note on creserve.p

l: this program, along with the

file, ensures that items suppressed in OPAC, but on course reserve, do show up in the backup catalog.

Apply the following protections:

chmod 755 *.pl *.sql *.script dobuild

chmod 664 wmuDB


This goes in /var/www/html .

It’s what the user sees when first interacting with your catbackup implementation. The user enters parameters and starts a search here. This file should be called index.html

, or you can call it something else, or put it elsewhere, and make index.htm

l a symlink to that other file (see use of the ln command above). You will have to customize it for your installation, particularly the “

Form action…

” line, which needs a URL that references your catbackup machine.

Protect this file:

chmod 755 index.html


For multiple databases, you’ll need separate HTML files for each database. I put them in their own directories under /var/www .


Login as root.

cd /var/www/html

mkdir images


cd images

Put these files there:









The xxxsmall_logo.gif is an optional file supplied by you. It would contain a small copy of an image associated with this catalog (the one you’re backing up on this machine). You’ll probably want a different one for each catalog if you have more than one. The xxxinstitution_logo.gif file is also optional. It typically would be an image of your institution logo.


Install XsearchMe.cgi and, as root, apply the needed protection:

cd /var/www/cgi-bin

chmod 755 XSearchMe.cgi


Edit it, searching for http , then change the url in those lines to point to your machine. For multiple databases, you’ll have multiple


files here, otherwise drop the X identifier.


On Your Voyager Machine

There are several files needed for the extract process: extractX.script

gets scheduled to run in cron. It calls doextract . doextract does just what its name implies.You’ll need to put the readonly username and password for your database in the script. getX.sql

queries the Voyager database to get the data for this backup extract, and sorts and gzips the results.


handles the secureftp file transfer. trigger.X is copied to the transfer directory. when the cron process on catbackup finds it, the build process starts up.

/m1/scratch is used as a data staging area for the extract process.


Scripts for cron

On your Voyager machine, run extractX.script

from cron. On your catbackup machine, buildX.script

should be scheduled in cron. It should run as SOBackup.

How to Use cron

A “cron job” is a task scheduled to run via Unix’s cron process. It takes its instructions from a crontab file. crontab –l lists the contents of your crontab file, crontab –e invokes vi (sorry!) on the file so that you can edit it. The contents of the crontab file follow a specific format:

[minute] [hour] [day of month] [month] [day of week] task-to-run

0-59 0-23 1-31 1-12 0-6

(starting with Sunday at 0)

Here’s the crontab entry to run the build for one of our catbackup databases:

0 3 * * 1,2,4,5 /home/SOBackup/Build/buildwmu.script >/tmp/wmubuild.log 2>&1 buildwmu.script

will run at 3 AM on Monday, Tuesday, Thursday and Friday of each week. It can run on any day of the month, so we specify “*” for any day, and it will run every month, thus the “*”. The

>/tmp… redirects program output interactively seen on the screen (stdout) to the specified path and file. If we experience problems, we can go look at /tmp/wmubuild.log

to check for error messages, etc. You should schedule your build runs via cron as user SOBackup.


When the appropriate scripts have been correctly set up with cron, you’ll have a fresh backup image on your catbackup machine whenever the scripts run. In our case, we run the extract and build process on Monday,

Tuesday, Thursday, and Friday. We omit Wednesday because we have a full backup of our Voyager machine running that night. The build process is finished by around 7 a.m..

Searches of the backup catalog are logged. I created

to provide usage reports, useful for those times when we rely on the backup catalog as the catalog. The search process creates monthly log files. You tell which logfile to use and which days to look at. The report, as supplied, is set up for our situation with two institutions on two databases in one Voyager implementation. You’ll need to edit

for your use.

Searching for “wmu” and “kvcc” will show you which areas to change.


Our Voyager box is a Sun UltraSPARCII with 4 processors, 4 gigs RAM, and over 80 gigs drive space at the time of this writing. The backup machine specs are listed earlier in this document.

We have somewhere over a million and quarter bib records. The extract takes about two and a half hours. The build process takes about three and three quarter hours. Searches are very fast. Your mileage will vary.



I may have forgotten some details. You’ll have to be resourceful (like I was when I put this together and modified the basic process, a lot). If something does not work, check permissions on related files and directories. Looking at the web server log file may also be helpful. In the setup detailed above, that is

/etc/httpd/logs/error_log . I will not provide support. I have a job. I might answer simple quick questions.

You implement this software and anything associated with it at YOUR risk.


Price of PC – as much as several thousand, or possibly free if you have an available machine

Price of Software – free

Cost of Labor – free (built into overhead)

Benefit of Implementation – priceless, when you need it! (and it might not cost you anything!)

